Source:
+++
This record from the OMol25 dataset describes 2 unconnected molecules or ions with the total composition C7H6O2 in a non-equilibrium geometry. The level of theory is the ωB97M-V functional and the def2-TZVPD basis.

```
15
C7H6O2 the ωB97M-V functional and the def2-TZVPD basis
C 0.412 2.288 -0.138
C 1.043 1.052 -0.392
C -0.814 1.979 0.370
C 0.155 0.072 -0.019
C -3.353 -0.344 -0.551
C -0.599 -2.257 0.252
C 0.329 -1.358 -0.058
O -4.064 0.344 -0.009
O -0.982 0.647 0.444
H 0.809 3.267 -0.309
H 2.023 0.896 -0.793
H -1.616 2.593 0.728
H -1.589 -1.967 0.561
H -0.390 -3.310 0.198
H 1.318 -1.661 -0.369
```

energy: -420.76420 Eh
lowest unoccupied orbital energy: 0.972 eV
strongest force on any atom: 1.2 eV/A
net charge: 0
molar mass: 122.1 g mol⁻¹
relative energy (zero: lowest compared OMol25 entry of this formula, charge and spin): 64.4 kJ/mol
+++

Brief:
Please filter the block further up: keep the lines with the word "atom".

Solution:
strongest force on any atom: 1.2 eV/A